To do:
Next, give back only the last part of the data further below, starting with the line that has "C22 1.482,".
Given:
(1)
A cluster of 9 separate species, C18H48N6O15 in total, computed with the ωB97M-V functional and the def2-TZVPD basis.

The value obtained for the LUMO energy is -0.34 eV.

Last columns: bonded neighbours and bond lengths (Å).
Atoms and positions in Å:
1 C 2.60 -2.94 -1.05  N2 1.491, H5 1.086, H6 1.086, H7 1.079
2 N 3.75 -2.75 -0.13  C1 1.491, O3 1.212, O4 1.215
3 O 3.58 -2.08 0.87  N2 1.212
4 O 4.79 -3.29 -0.43  N2 1.215
5 H 2.34 -3.99 -0.98  C1 1.086
6 H 2.94 -2.73 -2.06  C1 1.086
7 H 1.79 -2.28 -0.76  C1 1.079
8 C -3.47 -2.38 3.80  N9 1.497, H12 1.085, H13 1.083, H14 1.083
9 N -3.56 -3.51 4.77  C8 1.497, O10 1.209, O11 1.217
10 O -4.37 -3.42 5.66  N9 1.209
11 O -2.80 -4.45 4.60  N9 1.217
12 H -4.48 -1.97 3.70  C8 1.085
13 H -3.14 -2.79 2.85  C8 1.083
14 H -2.80 -1.63 4.21  C8 1.083
15 C -1.11 1.33 4.79  N16 1.485, H19 1.089, H20 1.084, H21 1.082
16 N -0.94 1.79 3.39  C15 1.485, O17 1.219, O18 1.207
17 O 0.18 2.08 3.01  N16 1.219
18 O -1.94 1.84 2.70  N16 1.207
19 H -1.08 0.25 4.80  C15 1.089
20 H -2.09 1.65 5.13  C15 1.084
21 H -0.31 1.73 5.40  C15 1.082
22 C -3.52 2.68 -3.66  N23 1.482, H26 1.086, H27 1.084, H28 1.085
23 N -2.94 1.35 -3.35  C22 1.482, O24 1.215, O25 1.210
24 O -2.06 1.32 -2.51  N23 1.215
25 O -3.36 0.38 -3.93  N23 1.210
26 H -2.74 3.28 -4.12  C22 1.086
27 H -3.87 3.11 -2.73  C22 1.084
28 H -4.34 2.54 -4.35  C22 1.085
29 C -0.28 0.19 0.23  N30 1.481, H33 1.081, H34 1.090, H35 1.086
30 N -0.38 -0.96 1.17  C29 1.481, O31 1.211, O32 1.220
31 O 0.61 -1.62 1.37  N30 1.211
32 O -1.46 -1.20 1.68  N30 1.220
33 H 0.27 -0.08 -0.66  C29 1.081
34 H 0.13 1.01 0.82  C29 1.090
35 H -1.29 0.50 0.00  C29 1.086
36 C -0.59 -4.55 1.82  N37 1.499, H40 1.084, H41 1.084, H42 1.084
37 N -1.29 -4.31 0.52  C36 1.499, O38 1.214, O39 1.216
38 O -0.62 -4.08 -0.47  N37 1.214
39 O -2.51 -4.31 0.54  N37 1.216
40 H -0.74 -3.63 2.38  C36 1.084
41 H 0.45 -4.77 1.59  C36 1.084
42 H -1.06 -5.41 2.28  C36 1.084
43 C 2.20 -0.08 5.06  C44 1.513, H48 1.089, H49 1.091, H50 1.092
44 C 2.01 -1.28 4.16  C43 1.513, O45 1.417, H51 1.099, H52 1.096
45 O 2.89 -2.32 4.56  C44 1.417, C46 1.395
46 C 2.45 -3.59 4.21  O45 1.395, C47 1.516, H53 1.101, H54 1.103
47 C 3.48 -4.59 4.70  C46 1.516, H55 1.088, H56 1.093, H57 1.089
48 H 1.76 0.81 4.61  C43 1.089
49 H 1.81 -0.24 6.07  C43 1.091
50 H 3.27 0.10 5.13  C43 1.092
51 H 0.96 -1.61 4.13  C44 1.099
52 H 2.27 -1.01 3.13  C44 1.096
53 H 1.47 -3.83 4.65  C46 1.101
54 H 2.35 -3.70 3.12  C46 1.103
55 H 3.22 -5.62 4.45  C47 1.088
56 H 3.53 -4.52 5.79  C47 1.093
57 H 4.45 -4.32 4.29  C47 1.089
58 C 2.04 2.07 -4.18  C59 1.512, H63 1.092, H64 1.090, H65 1.093
59 C 0.70 1.37 -4.19  C58 1.512, O60 1.417, H66 1.093, H67 1.101
60 O 0.82 0.19 -4.96  C59 1.417, C61 1.417
61 C -0.42 -0.46 -5.19  O60 1.417, C62 1.514, H68 1.096, H69 1.104
62 C -0.19 -1.64 -6.11  C61 1.514, H70 1.089, H71 1.091, H72 1.088
63 H 2.44 2.21 -5.19  C58 1.092
64 H 1.96 3.04 -3.69  C58 1.090
65 H 2.78 1.45 -3.67  C58 1.093
66 H 0.41 1.13 -3.16  C59 1.093
67 H -0.05 2.03 -4.65  C59 1.101
68 H -0.92 -0.72 -4.24  C61 1.096
69 H -1.10 0.26 -5.68  C61 1.104
70 H 0.27 -1.26 -7.03  C62 1.089
71 H -1.15 -2.09 -6.37  C62 1.091
72 H 0.44 -2.39 -5.65  C62 1.088
73 C 0.06 6.95 -3.68  C74 1.517, H78 1.085, H79 1.092, H80 1.090
74 C -0.29 5.49 -3.91  C73 1.517, O75 1.409, H81 1.102, H82 1.094
75 O 0.08 4.62 -2.86  C74 1.409, C76 1.423
76 C -0.68 4.76 -1.67  O75 1.423, C77 1.503, H83 1.098, H84 1.099
77 C -0.20 3.73 -0.68  C76 1.503, H85 1.096, H86 1.086, H87 1.094
78 H 1.13 7.13 -3.72  C73 1.085
79 H -0.44 7.52 -4.46  C73 1.092
80 H -0.35 7.28 -2.73  C73 1.090
81 H -1.36 5.39 -4.15  C74 1.102
82 H 0.25 5.12 -4.79  C74 1.094
83 H -0.53 5.78 -1.27  C76 1.098
84 H -1.75 4.65 -1.86  C76 1.099
85 H -0.60 3.97 0.31  C77 1.096
86 H 0.87 3.57 -0.58  C77 1.086
87 H -0.67 2.77 -0.92  C77 1.094

Here are the Löwdin charges for atoms 1 to 4, given in e: C 0.048; N -0.444; O 0.062; O 0.063



(2)
Done:
23 N -2.94 1.35 -3.35  C22 1.482, O24 1.215, O25 1.210
24 O -2.06 1.32 -2.51  N23 1.215
25 O -3.36 0.38 -3.93  N23 1.210
26 H -2.74 3.28 -4.12  C22 1.086
27 H -3.87 3.11 -2.73  C22 1.084
28 H -4.34 2.54 -4.35  C22 1.085
29 C -0.28 0.19 0.23  N30 1.481, H33 1.081, H34 1.090, H35 1.086
30 N -0.38 -0.96 1.17  C29 1.481, O31 1.211, O32 1.220
31 O 0.61 -1.62 1.37  N30 1.211
32 O -1.46 -1.20 1.68  N30 1.220
33 H 0.27 -0.08 -0.66  C29 1.081
34 H 0.13 1.01 0.82  C29 1.090
35 H -1.29 0.50 0.00  C29 1.086
36 C -0.59 -4.55 1.82  N37 1.499, H40 1.084, H41 1.084, H42 1.084
37 N -1.29 -4.31 0.52  C36 1.499, O38 1.214, O39 1.216
38 O -0.62 -4.08 -0.47  N37 1.214
39 O -2.51 -4.31 0.54  N37 1.216
40 H -0.74 -3.63 2.38  C36 1.084
41 H 0.45 -4.77 1.59  C36 1.084
42 H -1.06 -5.41 2.28  C36 1.084
43 C 2.20 -0.08 5.06  C44 1.513, H48 1.089, H49 1.091, H50 1.092
44 C 2.01 -1.28 4.16  C43 1.513, O45 1.417, H51 1.099, H52 1.096
45 O 2.89 -2.32 4.56  C44 1.417, C46 1.395
46 C 2.45 -3.59 4.21  O45 1.395, C47 1.516, H53 1.101, H54 1.103
47 C 3.48 -4.59 4.70  C46 1.516, H55 1.088, H56 1.093, H57 1.089
48 H 1.76 0.81 4.61  C43 1.089
49 H 1.81 -0.24 6.07  C43 1.091
50 H 3.27 0.10 5.13  C43 1.092
51 H 0.96 -1.61 4.13  C44 1.099
52 H 2.27 -1.01 3.13  C44 1.096
53 H 1.47 -3.83 4.65  C46 1.101
54 H 2.35 -3.70 3.12  C46 1.103
55 H 3.22 -5.62 4.45  C47 1.088
56 H 3.53 -4.52 5.79  C47 1.093
57 H 4.45 -4.32 4.29  C47 1.089
58 C 2.04 2.07 -4.18  C59 1.512, H63 1.092, H64 1.090, H65 1.093
59 C 0.70 1.37 -4.19  C58 1.512, O60 1.417, H66 1.093, H67 1.101
60 O 0.82 0.19 -4.96  C59 1.417, C61 1.417
61 C -0.42 -0.46 -5.19  O60 1.417, C62 1.514, H68 1.096, H69 1.104
62 C -0.19 -1.64 -6.11  C61 1.514, H70 1.089, H71 1.091, H72 1.088
63 H 2.44 2.21 -5.19  C58 1.092
64 H 1.96 3.04 -3.69  C58 1.090
65 H 2.78 1.45 -3.67  C58 1.093
66 H 0.41 1.13 -3.16  C59 1.093
67 H -0.05 2.03 -4.65  C59 1.101
68 H -0.92 -0.72 -4.24  C61 1.096
69 H -1.10 0.26 -5.68  C61 1.104
70 H 0.27 -1.26 -7.03  C62 1.089
71 H -1.15 -2.09 -6.37  C62 1.091
72 H 0.44 -2.39 -5.65  C62 1.088
73 C 0.06 6.95 -3.68  C74 1.517, H78 1.085, H79 1.092, H80 1.090
74 C -0.29 5.49 -3.91  C73 1.517, O75 1.409, H81 1.102, H82 1.094
75 O 0.08 4.62 -2.86  C74 1.409, C76 1.423
76 C -0.68 4.76 -1.67  O75 1.423, C77 1.503, H83 1.098, H84 1.099
77 C -0.20 3.73 -0.68  C76 1.503, H85 1.096, H86 1.086, H87 1.094
78 H 1.13 7.13 -3.72  C73 1.085
79 H -0.44 7.52 -4.46  C73 1.092
80 H -0.35 7.28 -2.73  C73 1.090
81 H -1.36 5.39 -4.15  C74 1.102
82 H 0.25 5.12 -4.79  C74 1.094
83 H -0.53 5.78 -1.27  C76 1.098
84 H -1.75 4.65 -1.86  C76 1.099
85 H -0.60 3.97 0.31  C77 1.096
86 H 0.87 3.57 -0.58  C77 1.086
87 H -0.67 2.77 -0.92  C77 1.094

Here are the Löwdin charges for atoms 1 to 4, given in e: C 0.048; N -0.444; O 0.062; O 0.063



(2)